reformed calvinist

I really enjoyed hearthstone for a few solid weeks. I think the free to play model is totally fair, and blizzard did a wonderful job with all the voices, characters etc. But I agree about the rage too… I'm really disliking pvp-exclusive games as I get older. The luck doesn't bother me so much, as it can be an

I can't even get Dark Souls to run on my PC, so I'm not sure what that says about my geek status. And no, my PC doesn't suck.

I think the sport of football is mostly pretty cool. The ads and professional gloss that they give NFL events turns me off completely though.

I believe it's the biggest event of the year for advertisers, with some intermissions where people bang into each other for laffs.

My nonscientific brain has already concluded that smoking pot legally makes you a much better sports player.

I'm frankly irritated by his not caring enough about me not caring about the Super Bowl to write a verbose article about it. I can only be apathetic so long, damn it!

Hmm… I find people who commit genocide to the be the worst kind of people, personally.

I definitely read that as "range" at first glance, and was intrigued by the idea of Nic Cage having plenty of it.

Either a big fan of the Garfield films, or someone with a personal vendetta. Either way, it's a sad state of affairs.

I've actually only heard it about 3 times total now, including a remixed version…so not yet. But I have to say, I don't see what all the fuss is about. It's a catchy song with some pretty minimal instrumentation. But hardly worth all the acclaim. Still, in the current pop landscape, I guess "pretty decent" sounds like

I think the PS2 could easily win the best console ever award, thanks mainly to the great backwards compatibility and the dvd player.

• Between two parts of the piece: crystal structures:
+++
[1]
The following is a computed powder diffraction line list of PrEr2Cu2Ge2. It was derived from a structure optimized by DFT (GGA-PBE), using Cu Kα (weighted mean of Kα1 and Kα2).

Atomic structure:
a b c (Å): 9.606 9.606 9.606
angles (deg): 26.06 26.06 26.06
Element x y z (fractional)
1 Pr 0.000 0.000 0.000
2 Er 0.128 0.128 0.128
3 Er 0.872 0.872 0.872
4 Cu 0.407 0.407 0.407
5 Cu 0.593 0.593 0.593
6 Ge 0.258 0.258 0.258
7 Ge 0.742 0.742 0.742

Main lines, by angle (10° ≤ 2θ ≤ 90°):
- 2θ = 23.94°, I 45.0
- 2θ = 32.83°, I 98.2
- 2θ = 35.19°, I 98.8
- 2θ = 41.71°, I 100.0
- 2θ = 55.68°, I 26.4
- 2θ = 66.35°, I 36.9

[2]
The following is a computed powder diffraction line list of Pm3NdY. It was derived from a structure optimized by DFT (GGA-PBE), using Cu Kα (weighted mean of Kα1 and Kα2).

Atomic structure:
a b c (Å): 9.621 9.621 10.324
angles (deg): 105.54 105.54 21.82
Element x y z (fractional)
1 Pm 0.000 0.000 0.249
2 Pm 0.000 0.000 0.751
3 Pm 0.201 0.201 0.349
4 Pm 0.399 0.399 0.950
5 Pm 0.601 0.601 0.050
6 Pm 0.799 0.799 0.651
7 Nd 0.400 0.400 0.449
8 Nd 0.600 0.600 0.551
9 Y 0.200 0.200 0.852
10 Y 0.800 0.800 0.148

Main lines, by angle (10° ≤ 2θ ≤ 90°):
- 2θ = 30.05°, I 100.0
- 2θ = 34.76°, I 17.0
- 2θ = 34.87°, I 33.6
- 2θ = 50.06°, I 30.1
- 2θ = 59.57°, I 28.5
- 2θ = 81.40°, I 14.5

[3]
The following is a computed powder diffraction line list of TbPm5Te8. It was derived from a structure optimized by DFT (GGA-PBE), using Cu Kα (weighted mean of Kα1 and Kα2).

Atomic structure:
a b c (Å): 8.197 8.197 8.197
angles (deg): 109.68 109.68 109.06
Element x y z (fractional)
1 Tb 0.000 0.000 0.000
2 Pm 0.255 0.125 0.631
3 Pm 0.376 0.745 0.870
4 Pm 0.494 0.624 0.369
5 Pm 0.750 0.250 0.500
6 Pm 0.875 0.506 0.130
7 Te 0.122 0.370 0.393
8 Te 0.124 0.375 0.899
9 Te 0.271 0.878 0.247
10 Te 0.475 0.225 0.101
11 Te 0.625 0.525 0.749
12 Te 0.630 0.023 0.753
13 Te 0.775 0.876 0.251
14 Te 0.977 0.729 0.607

Main lines, by angle (10° ≤ 2θ ≤ 90°):
- 2θ = 29.72°, I 51.8
- 2θ = 29.92°, I 100.0
- 2θ = 35.45°, I 70.1
- 2θ = 35.56°, I 33.8
- 2θ = 42.81°, I 17.2
- 2θ = 44.92°, I 17.9

[4]
The following is a computed powder diffraction line list of Ac2Y6Tm5. It was derived from a structure optimized by DFT (GGA-PBE), using Cu Kα (weighted mean of Kα1 and Kα2).

Atomic structure:
a b c (Å): 11.940 20.254 3.637
angles (deg): 90.00 90.00 90.00
Element x y z (fractional)
1 Ac 0.157 0.221 0.000
2 Ac 0.343 0.721 0.000
3 Ac 0.657 0.279 0.000
4 Ac 0.843 0.779 0.000
5 Y 0.058 0.924 0.000
6 Y 0.079 0.636 0.000
7 Y 0.181 0.383 0.500
8 Y 0.319 0.883 0.500
9 Y 0.421 0.136 0.000
10 Y 0.442 0.424 0.000
11 Y 0.558 0.576 0.000
12 Y 0.579 0.864 0.000
13 Y 0.681 0.117 0.500
14 Y 0.819 0.617 0.500
15 Y 0.921 0.364 0.000
16 Y 0.942 0.076 0.000
17 Tm 0.000 0.500 0.500
18 Tm 0.104 0.781 0.500
19 Tm 0.200 0.051 0.500
20 Tm 0.300 0.551 0.500
21 Tm 0.396 0.281 0.500
22 Tm 0.500 0.000 0.500
23 Tm 0.604 0.719 0.500
24 Tm 0.700 0.449 0.500
25 Tm 0.800 0.949 0.500
26 Tm 0.896 0.219 0.500
+++
• The piece goes on:

Moffat-bashing started when he started sucking at running Doctor Who, not when he took over. People still liked him just fine during Who season 5.

I feel about the same…after rewatching the second season, I found Mickey and Jackie especially to be pretty much intolerable. This all comes to head in the Cybermen two-parter, which has some decent moments otherwise.

Every song off Slanted and Enchanted (and most of the B-sides too) could easily be swapped into this headline. Shit was good.

Haven't they been doing this all along?

Gonna have to go with B, and hopefully not take too much flack for it. While a lot of the jokes were funny, I felt like thematically it was too similar to IDF and CC, without bringing much new to the table. I also felt that Goggins was too distracting as a guest, without actually adding much to the episode.

Shouldn't Goodyear just feel obligated to do it at this point, considering all the free publicity he's given them? Not to mention street cred.

eh, I think keyboard is the way to go. I'm actually not sure if I'll use the gamepad support in Rebirth, because I've gotten so used to two hands on the kb.

**Between two parts of the entry: materials data:**
+++
This entry pairs a crystal structure of HoScMn with its calculated X-ray diffraction stick pattern. Radiation: CuKα. Structure: a crystal structure in Alexandria, relaxed with PBE.

Crystal structure
Unit cell a=6.6817 b=6.6817 c=7.3936 alpha=90.00 beta=90.00 gamma=124.38
Fractional coordinates of all 12 atoms:
Ho 0.1927 0.8073 0.8947
Ho 0.3073 0.6927 0.3947
Ho 0.6927 0.3073 0.6053
Ho 0.8073 0.1927 0.1053
Sc 0.2011 0.2989 0.7500
Sc 0.2989 0.2011 0.2500
Sc 0.7011 0.7989 0.7500
Sc 0.7989 0.7011 0.2500
Mn 0.0941 0.9059 0.5502
Mn 0.4059 0.5941 0.0502
Mn 0.5941 0.4059 0.9498
Mn 0.9059 0.0941 0.4498

Main lines, most intense first (10° ≤ 2θ ≤ 90°):
Position (°2θ)  intensity
29.08  100
42.69  67
29.41  61
28.64  47
34.72  44
32.47  43

~~~~~

The following is a calculated X-ray powder pattern of SrHgBr. It was derived from a GGA-PBE-relaxed structure, using Cu Kα (weighted mean of Kα1 and Kα2).
Lines closer than 0.1° are merged.

Peak list (12 most intense, 2θ = 15–90°, by angle)
hkl	2theta	d (Å)	I/Imax
0 0 5	15.88	5.582	14
1 0 0	23.41	3.800	49
0 1 1	23.63	3.765	13
0 1 2	24.27	3.667	12
0 1 6	30.37	2.943	100
0 1 7	32.55	2.751	23
1 0 8	34.91	2.570	15
1 1 0	41.14	2.194	45
1 0 12	45.73	1.984	13
2 0 6	51.99	1.759	22
1 2 6	68.35	1.372	20
3 0 0	74.99	1.267	11

Structure:
```
SrHgBr
1.0
4.3881 0.0000 0.0000
-2.1940 3.8002 0.0000
0.0000 0.0000 27.9119
Sr Hg Br
4 4 4
Cartesian
0.0000 2.5335 2.9359
0.0000 2.5335 17.5187
2.1940 1.2667 10.3932
2.1940 1.2667 24.9760
0.0000 2.5335 22.7104
0.0000 2.5335 27.0839
2.1940 1.2667 0.8280
2.1940 1.2667 5.2014
0.0000 2.5335 8.5978
0.0000 2.5335 12.1921
2.1940 1.2667 15.7198
2.1940 1.2667 19.3140
```

~~~~~

Entry 1:
This entry pairs a crystal structure of LaTb2RuO7 with its computed powder diffraction line list. Radiation: Cu Kα. Structure: a GGA-PBE-relaxed structure.
Kinematic intensities with the Lorentz-polarization factor, no thermal factor.

Structural model:
Cell lengths 6.500, 6.500, 7.561 Å; angles 90.00, 90.00, 70.01 degrees
Atoms (fractional coordinates):
La 0.000 0.000 0.000
La 0.000 0.000 0.500
Tb 0.071 0.481 0.750
Tb 0.481 0.071 0.250
Tb 0.519 0.929 0.750
Tb 0.929 0.519 0.250
Ru 0.500 0.500 0.000
Ru 0.500 0.500 0.500
O 0.117 0.162 0.250
O 0.162 0.117 0.750
O 0.184 0.557 0.037
O 0.184 0.557 0.463
O 0.412 0.588 0.750
O 0.443 0.816 0.037
O 0.443 0.816 0.463
O 0.557 0.184 0.537
O 0.557 0.184 0.963
O 0.588 0.412 0.250
O 0.816 0.443 0.537
O 0.816 0.443 0.963
O 0.838 0.883 0.250
O 0.883 0.838 0.750

Top 8 peaks for 15° ≤ 2θ ≤ 90°, low angle first:
| d/Å | 2θ (°) | intensity |
| --- | --- | --- |
| 3.344 | 26.7 | 12 |
| 3.082 | 29.0 | 100 |
| 3.054 | 29.2 | 88 |
| 2.657 | 33.7 | 64 |
| 1.890 | 48.1 | 18 |
| 1.880 | 48.4 | 45 |
| 1.607 | 57.3 | 34 |
| 1.595 | 57.8 | 15 |

Entry 2:
This entry pairs a crystal structure of LaTl2RuO6 with its computed powder diffraction line list. Radiation: Cu Kα. Structure: a GGA-PBE-relaxed structure.
Kinematic intensities with the Lorentz-polarization factor, no thermal factor.
+++
**Here the entry continues:**

I felt completely unashamed to always have a wiki open until I memorized all the tarot cards, and most of the items and trinkets. i guess to some this could be considered unfun, but I actually enjoy the constant cross referencing.

BoI has given me such value for my money (and I'm only at 80 hrs!), that I'm prepared to, and even feel obligated to, throw large amounts of money at McMillan, even if this remake sucks.